Venereal Diseases in New Zealand (1922) eBook

This eBook from the Gutenberg Project consists of approximately 83 pages of information about Venereal Diseases in New Zealand (1922).

Venereal Diseases in New Zealand (1922) eBook

This eBook from the Gutenberg Project consists of approximately 83 pages of information about Venereal Diseases in New Zealand (1922).
effectually.  Furthermore, the policy of reticence which has prevailed in the past, while it has led to the omission of proper instruction of the young, either by their parents or as part of our system of education, has not prevented the dissemination of an incomplete or perverted knowledge of the facts relating to sex, which, being derived as a rule from tainted sources of information, has been productive of a great deal of evil.

In these circumstances the Committee feel it their duty, before making known their recommendations, to state in as plain terms as possible the medical aspects of the problem they have had to consider.

-- begin --
No. 1
LaHf2F11: optimized geometry, PBE-GGA.

a b c (Å): 8.489 8.489 8.489
angles (deg): 125.24 106.91 97.59
Positions (direct):
La1 0.250 0.250 0.000
La2 0.750 0.750 0.000
Hf1 0.180 0.634 0.814
Hf2 0.320 0.134 0.453
Hf3 0.680 0.866 0.547
Hf4 0.820 0.366 0.186
F1 0.000 0.500 0.500
F2 0.050 0.366 0.160
F3 0.053 0.968 0.289
F4 0.179 0.468 0.915
F5 0.206 0.890 0.840
F6 0.221 0.371 0.592
F7 0.279 0.871 0.150
F8 0.294 0.134 0.684
F9 0.321 0.236 0.289
F10 0.447 0.736 0.915
F11 0.450 0.610 0.316
F12 0.500 0.000 0.500
F13 0.550 0.390 0.684
F14 0.553 0.264 0.085
F15 0.679 0.764 0.711
F16 0.706 0.866 0.316
F17 0.721 0.129 0.850
F18 0.779 0.629 0.408
F19 0.794 0.110 0.160
F20 0.821 0.532 0.085
F21 0.947 0.032 0.711
F22 0.950 0.634 0.840



No. 2
HfNF4: optimized geometry, PBE-GGA.

Properties
- Total moment: 12.0 μB per cell

a b c (Å): 6.326 7.855 8.430
angles (deg): 105.26 98.15 108.43
Positions (direct):
Hf1 0.228 0.205 0.142
Hf2 0.246 0.705 0.115
Hf3 0.754 0.295 0.885
Hf4 0.772 0.795 0.858
N1 0.283 0.130 0.646
N2 0.289 0.624 0.615
N3 0.711 0.376 0.385
N4 0.717 0.870 0.354
F1 0.051 0.048 0.883
F2 0.072 0.738 0.897
F3 0.097 0.428 0.904
F4 0.243 0.262 0.377
F5 0.254 0.807 0.349
F6 0.346 0.505 0.195
F7 0.375 0.003 0.150
F8 0.490 0.273 0.011
F9 0.510 0.727 0.989
F10 0.625 0.997 0.850
F11 0.654 0.495 0.805
F12 0.746 0.193 0.651
F13 0.757 0.738 0.623
F14 0.903 0.572 0.096
F15 0.928 0.262 0.103
F16 0.949 0.952 0.117



No. 3
NaHf2TiF11: optimized geometry, PBE-GGA.

Properties
- Total moment: 2.0 μB per cell

a b c (Å): 5.815 5.815 7.834
angles (deg): 112.06 112.06 72.70
Positions (direct):
Na1 0.000 0.000 0.000
Hf1 0.502 0.502 0.771
Hf2 0.505 0.505 0.238
Ti1 0.004 0.004 0.502
F1 0.202 0.777 0.695
F2 0.225 0.800 0.309
F3 0.256 0.256 0.639
F4 0.269 0.269 0.123
F5 0.329 0.663 0.000
F6 0.531 0.531 0.521
F7 0.663 0.329 0.000
F8 0.737 0.737 0.925
F9 0.750 0.750 0.357
F10 0.777 0.202 0.695
F11 0.800 0.225 0.309



No. 4
NdHfF7: optimized geometry, PBE-GGA.

a b c (Å): 6.267 5.823 8.445
angles (deg): 90.00 101.58 90.00
Positions (direct):
Nd1 0.158 0.000 0.188
Nd2 0.842 0.500 0.812
Hf1 0.311 0.991 0.724
Hf2 0.689 0.491 0.276
F1 0.052 0.315 0.026
F2 0.053 0.199 0.714
F3 0.126 0.705 0.716
F4 0.258 0.993 0.483
F5 0.358 0.986 0.967
F6 0.434 0.279 0.269
F7 0.472 0.750 0.261
F8 0.528 0.250 0.739
F9 0.566 0.779 0.731
F10 0.642 0.486 0.033
F11 0.742 0.493 0.517
F12 0.874 0.205 0.284
F13 0.947 0.699 0.286
F14 0.948 0.815 0.974



No. 5
NdHf2F11: optimized geometry, PBE-GGA.

a b c (Å): 8.419 8.419 8.419
angles (deg): 124.94 106.73 98.01
Positions (direct):
Nd1 0.250 0.250 0.000
Nd2 0.750 0.750 0.000
Hf1 0.181 0.634 0.816
Hf2 0.319 0.134 0.453
Hf3 0.681 0.866 0.547
Hf4 0.819 0.366 0.184
F1 0.000 0.500 0.500
F2 0.049 0.966 0.287
F3 0.052 0.365 0.159
F4 0.179 0.466 0.917
F5 0.206 0.893 0.841
F6 0.220 0.370 0.591
F7 0.280 0.870 0.150
F8 0.294 0.135 0.687
F9 0.321 0.237 0.287
F10 0.448 0.607 0.313
F11 0.451 0.737 0.917
F12 0.500 0.000 0.500
F13 0.549 0.263 0.083
-- stop --

There are three forms of venereal diseases namely, syphilis, gonorrhoea, and chancroid—­and of these the first two are the common and most serious diseases.  That sporadic syphilis existed in antiquity and even in prehistoric times is probable, but there is no doubt that the disease was a malignant European pandemic in the closing years of the fifteenth century.  The first reference to its origin is in a work written about the year 1510, wherein it is described as a new affection in Barcelona, unheard of until brought from Hayti by the sailors of Columbus in 1493.  The army of Charles viii carried the scourge through Italy, and soon Europe was aflame.  “Its enormous prevalence in modern times,” says Dr. Creighton, “dates, without doubt, from the European libertinism of the latter part of the fifteenth century.”  Gonorrhoea also has its origin in the shades of antiquity, but that it became common in Europe about 1520 is a fact based on the highest authority.

Syphilization follows civilization, and syphilis is an important factor in the extermination of aboriginal races.  Syphilis was introduced into Uganda when that country was opened to trade with the coast, and Colonel Lambkin reported that “In some districts 90 per cent. suffer from it....  Owing to the presence of syphilis the entire population stands a good chance of being exterminated in a very few years, or left a degenerate race fit for nothing.”  The earliest known account of the introduction of syphilis into the Maori race is in an old Maori song composed in the far North.  The Maori population in a village on the shores of Tom Bowline’s Bay was employed in a whaling-station on the Three Kings Islands, and there they became infected and carried the disease to the mainland.  Venereal disease is not common now among the Maoris, but it made great ravages in the early days of colonization, to which may be attributed much of the sterility and repeated miscarriages in the transitional period of Maori history.

Through the ages great confusion existed as to the origin and nature of venereal disease, but in 1905 a micro-organism, the Spironema pallidum, was demonstrated as the infective agent in syphilis, and the gonococcus as the infecting organism of gonorrhoea had been discovered in 1879.  As regards modes of infection, syphilis is contracted usually by sexual congress; occasionally the mode of infection is accidental and innocent, and congenital transmission is not uncommon.  Gonorrhoea is contracted by sexual congress as a rule, but occasionally from innocent contact with discharges, as in lavatories.

+++
Here is LiHoO2 after structural relaxation from Materials Project. Energies are from PBE.

a b c (Å): 5.4141 5.4141 5.4141
angles (deg): 36.10 36.10 36.10
Positions (direct):
Li1 0.0000 0.0000 0.0000
Ho1 0.5000 0.5000 0.5000
O1 0.2446 0.2446 0.2446
O2 0.7554 0.7554 0.7554

Computed properties:
E_tot, eV/atom: -6.98
ρ, kg/m3: 6870
SG: R-3m, No. 166
Calculated formation energy, eV per atom: -3.223
MP2020-corrected energy, eV per atom: -7.32
+++

Project Gutenberg
Venereal Diseases in New Zealand (1922) from Project Gutenberg. Public domain.